Devoured by
Kivana is a handmaiden of
Syllea. She is a perma prey.
Kivana is a former whore turned live in slut for Syllea. She had planned to devoure the lovely beaty herself but thought better fo it and
decided to use her as a bargaining chip and diplomat. She stands at a modest 5'2, with long flowing blonde hair, Hourglas figure of 100 lbs
and delicious 32 DD Breasts.
07:57:23 Soomi: On the beach front, Soomi was slowly kissing and massaging Kivan's lovely breasts as the sharkgirl would arrive. Her lips and tongue were ravishing the girl's enormous and juicy breasts.
>07:58:40 Kivana_Syllea: The elves were completely unaware of their surroundings, surrendering themselves to the lustful endeavors. Kivana would moan loudly as she enjoyed the feeling of Soomi's mouth onto her lovely breasts.
>07:58:55 Kivana_Syllea: The elves were completely unaware of their surroundings, surrendering themselves to the lustful endeavors. Kivana would moan loudly as she enjoyed the feeling of Soomi's mouth onto her lovely breasts
>07:59:02 Kivana_Syllea: (Rip i thought it didn't send)
07:59:36 Xandra_Silkscale: She’d sneak up towards these gals. Grinning at how easy this seemed to be~ her eyes darting left and right to assure no one else was there. Before sneaking over the sand with a sly grin and an empty belly. She’d move right up to her toes, getting ready~
07:59:40 Velvet_Sky: And Velvet? Whiel she wasn't actively participating herself, she was watching on slowly playing with her cunt. Masturbating and moaning loudly, each elf was oblivious to a T.
08:00:17 Velvet_Sky: (Whose toes?)
08:02:43 Soomi: Niether of them would notice. Kivana and Soomi's toes were basically aligned with one another. in the meanwhile Soomi gave a bigger kiss to Kivana's breasts enveloping a good deal as she sucked harder and harder.
____________
# 1
This record from the OMol25 dataset describes a structure of composition C51H28Cl4CrN5O4. The level of theory is ωB97M-V/def2-TZVPD.

Calculated values
Frontier orbital gap (spin up / spin down) = 4.909 / 5.168 eV
LUMO energy (spin up / spin down) = -1.540 / -1.959 eV
⟨S²⟩ = 4.036

ORCA input file:
```
! wB97M-V def2-TZVPD RIJCOSX def2/J DEFGRID3
* xyz 0 4
Cr -0.112 -0.369 0.316
Cl 7.712 2.308 3.297
C 6.110 1.688 3.193
C 5.895 0.375 2.796
C 4.609 -0.112 2.716
C 3.493 0.683 3.038
C 3.751 2.014 3.414
C 5.033 2.511 3.491
C 2.161 0.202 2.771
C 1.026 1.071 2.808
C 0.677 1.976 3.831
C -0.461 2.629 3.410
C -0.742 2.155 2.112
C -1.428 2.912 1.101
C -1.967 4.248 1.425
C -3.286 4.565 1.112
C -3.825 5.782 1.487
C -3.043 6.695 2.174
Cl -3.728 8.188 2.711
C -1.711 6.423 2.440
C -1.180 5.206 2.059
C -1.418 2.456 -0.175
N -1.418 0.195 -1.098
C -1.212 0.183 -2.518
C -0.438 -0.787 -3.047
C -0.101 -0.815 -4.493
C 1.049 -0.173 -4.939
C 1.434 -0.253 -6.265
C 0.675 -1.001 -7.151
Cl 1.193 -1.173 -8.789
C -0.483 -1.632 -6.725
C -0.872 -1.531 -5.401
C 0.028 -1.896 -2.266
C 0.396 -3.141 -2.805
C 0.456 -4.024 -1.750
C 0.160 -3.282 -0.584
N -0.041 -1.982 -0.910
C 0.140 -3.730 0.770
C 0.790 -2.887 1.705
C 1.683 -3.354 2.711
C 2.422 -2.273 3.112
C 1.905 -1.145 2.419
N 0.931 -1.539 1.565
C -0.459 -4.986 1.148
C -1.008 -5.874 0.204
C -1.670 -7.022 0.583
C -1.833 -7.306 1.931
Cl -2.680 -8.726 2.406
C -1.352 -6.426 2.890
C -0.686 -5.285 2.503
C -1.913 1.255 -3.245
C -1.930 2.651 -2.668
N 0.113 1.123 1.811
H 6.735 -0.251 2.539
H 4.455 -1.115 2.355
H 2.929 2.676 3.624
H 5.207 3.539 3.771
H 1.162 2.051 4.783
H -1.020 3.370 3.945
H -3.899 3.838 0.601
H -4.853 6.019 1.269
H -1.105 7.155 2.949
H -0.139 5.001 2.251
H 1.659 0.382 -4.242
H 2.331 0.243 -6.603
H -1.060 -2.218 -7.420
H -1.770 -2.027 -5.063
H 0.568 -3.346 -3.842
H 0.777 -5.046 -1.801
H 1.813 -4.376 3.004
H 3.178 -2.243 3.873
H -0.954 -5.645 -0.845
H -2.085 -7.681 -0.164
H -1.528 -6.622 3.936
H -0.381 -4.582 3.259
H -1.903 1.136 -4.322
H -2.032 3.442 -3.403
O 2.405 2.038 -2.037
C 1.375 1.492 -1.359
O 1.582 0.407 -0.697
C 0.107 1.980 -1.371
C -0.996 3.025 -1.525
C -3.170 1.772 -2.547
C -3.603 1.034 -1.349
C -2.779 0.202 -0.707
N -0.733 1.231 -0.483
C -2.983 -0.612 0.566
O -4.096 -0.880 0.965
O -1.865 -0.934 1.097
H 3.189 1.501 -1.847
H -0.729 4.080 -1.567
H -3.995 2.088 -3.172
H -4.640 1.102 -1.059
*
```

Taken from the Mulliken analysis, the atomic charges in e are: -0.07 -0.21 0.48 -1.18 -0.37 1.01 -0.31 -1.25 0.65 0.23 -1.51 -1.56 -0.05 1.31 -0.20 -0.32 -0.87 0.34 -0.22 -1.03 -0.21 -1.72 1.47 -0.91 2.28 -1.43 -0.07 -1.07 0.39 -0.22 -0.98 0.27 -0.19 -1.28 -1.78 0.08 1.36 0.65 0.28 -1.38 -1.32 -0.13 0.36 0.99 -0.44 -1.27 0.48 -0.21 -1.18 -0.34 -1.22 -0.54 1.24 0.41 0.42 0.42 0.42 0.83 0.88 0.51 0.43 0.42 0.62 0.53 0.43 0.42 0.51 0.67 0.86 0.82 0.78 0.52 0.42 0.41 0.51 0.77 0.56 -0.59 -1.10 -0.40 -0.09 0.48 -0.64 -0.77 -0.17 1.51 -0.16 -0.74 -0.18 0.44 0.81 0.52 0.66

=====

# 2
____________
• The quantum chemistry results stop here:
>08:03:42 Kivana_Syllea: With this motion Kivana would throw her head back and closer her eyes. Such easy prey they would be as kivana wrapped her arms around Soomi's body.
08:05:18 Xandra_Silkscale: How funny, while soomi sucked so did Xandra, working her figure up and around their legs as a wet tight esophagus wormed it’s way up and up~ a smile played the sharks maw before she’d get to suchthickfat asses~ after this she’d make herself known, and began to raise herself up! Tail moving to push the hunks of cheeks down~
08:07:56 Soomi: At first soomi would squeal in fear, but then her conditioning kicked in. This is it, the moment that her entire life led up to. She was going to be a delictable snack. Their tastes would mingle as wood elf and high elf juices began to slide down one anothers legs, down into Xandra's waiting maw.
>08:08:49 Kivana_Syllea: Kivana was less willing though. She had just became an important figure to the princess, so she would squirm in vain to try and wiggle out to no avail.
08:09:34 Velvet_Sky: Velvet had been first. but then she would just continue to masturbte to the scene as memories of spying on other elves being eaten entered her mind. This was a terrible idea, but she was too deep in pleasure and lust to think rationally.
08:11:30 Xandra_Silkscale: She’d soon stand up, rubbing her belly while her tail pushed the struggling figures down. Their added already claimed, another gulp and they’d soon fly right down her maw! Slipping into her gut together. Such huge curves would be enjoyed~ and she’d have nothing but a nice gurgle space for them past her lips. And her tits~ this was also the time velvet saw she was a herm. And quite a thick one too~
08:13:28 Soomi: With each gulp, Soomi's moans became higher and higher, though soon she would find that her companion didn't think the same way. Poor Kivana, a quick kiss would stop her from calling out help though. She would cum twice during this process, Once when the maw closed over them, and again when she was deep inside the gut. She was amused at Kivana's poor attempts at self-preservations as she would hump against Xandra's walls.
>08:14:57 Kivana_Syllea: Kivana did indeed struggle in vain. A surprise hit her when her moutch was kept shut by soomi's bigger mouth around her lips. Her heart raced and adrenaline ran rampant as the maw would close over them. Deep inside the gullet she frantically tried to kick her way out to no avail of course. She then remembered that Soomi was a bred Meal slut, what a person to be caught being eaten with.
08:16:22 Velvet_Sky: When the maw closed around her companions Velvet looked on and saw the massive throbbign cock. She stopped herself letting her sex drive reset as she had thoughts of wha the shark girl had planned for her. Velve opened her legs for Xandra, hoping that she would take the invite and fuck her before she devoured her. Althought she would in the back of her mind lament her sudden demise, she knew that this was her fate anyways and accepted it.
08:18:57 Xandra_Silkscale: After a few more accepted and muring gulps. The twin meal would look nice and tight in her gut. Sagging around as she’d lap her lips, she’d grope and feel them both up, playing with her gut and soon making her way along towards velvet. The orb still struggling and trying to escape, but failing to do so~ She’d soon move over to a waiting velvet, the gurgles of her gut loud and clear while she walked on over, eager to have her all to herself~ she’d soon lay over her, pressing the still ‘chunky’ gut against her. The shaft teasing her slit and, oh, oh this was.mmh~ it was larger than it looked
>08:20:45 Kivana_Syllea: After exerting herslf quite well to try and escape and given the lack of air here, it wouldn't take long before Kivana would pass out before the acids would even kick in. Her mind drifted thinking of what could have been before closing her eyes one last time.
08:21:49 Soomi: As her companion drifted off Soomi was able to grind herself against her friend's body as the gut began to close in around them. She was able to squeeze out one last orgasms before the lack of air would make her pass out as well.
08:23:00 Velvet_Sky: She was now pressed up against what was surely the churning and gurgling remains of her friends. As terrifying as this should be, she was excited even more. moaning at what was happening before her. "F...fuck me as hard as you can" she would squeak out.
08:24:09 Xandra_Silkscale: Shed grin at her words and soon eased the shaft inside. The largest shaft in terms of girth she had probably ever had. And ever will. Soon velvet is slowly screwed, a gradual build up to get accustomed to not only the size and feeling but also the rhythmic churning of her friends bodies nearby~
08:26:17 Velvet_Sky: Sensing no more movement inside oft he shark girl's belly Velvet concluded that the end had passed for them. This made her even more wet and excited, practically making it so that the large shaft would just slide deep inside of her easily. A very loud moan can be heard as the shaft was embedded inside of her.
08:27:47 Xandra_Silkscale: She’d soon thrust faster, feeling her entry way wetted and ready she’d start to properly fuck her form, moaning in delight while she’d slide this cock in and out with eagerness. A deep seeded murr in her form while she’d gurgle and break her meals down, sex always did make her hungry~ and it gave velvet an idea where she’d go~
08:27:48 Soomi: Both girls would remain silent from here on out.
>08:27:54 Kivana_Syllea: to be churned away
08:29:36 Velvet_Sky: Velve would wrap as much of her legs around Xandra as she could. She would enjoy this pleasure, this one last orgasm before the shark girl would finish her off. She would buck her hips to help out as much as she could, perhaps if she was lucky she'd be kept as a live in slut instead, but she knew those cahnces were slim
08:39:48 Xandra_Silkscale: The woman had some ideas for her true place~ moaning as she held on nicely. It was enough to force her I to her back, and her tail to start skidding her up and down up and down on that cock~ “Mmh~ I could use you for a nice load~ wanna join these two? Or live in me~” She asked
08:41:04 canibalos: wow ! who want to be eaten ?
08:41:10 Velvet_Sky: Velvet didn't need to think twice she nodded. "L...Live" She would squeak out in between moans
08:42:54 Xandra_Silkscale: “Mmh~ a sentient girl living deep in my balls? Swinging left and right for ever~ it’s a rather worrisome job living in there~ making sure to pleasure me and. Ah. AAAAAH~” She began, but was silenced as her balls began to constrict and she’d send a nice hot jet of cum outwards~ filling up inside the elf~
08:44:42 Velvet_Sky: Velvet let out a climactic moan as well as she'd cum a little after Xandra did. She was quite tired out from the ordeal but she nodded, loving the idea of this new world of pleasure. " might've just knocked me up as well...."
08:48:40 Velvet_Sky: "'d want me to..." She began to squirm out waiting for what comes next.
08:49:08 Xandra_Silkscale: Might’ve was an understatement. While not larger than her tits. So she couldn’t look and see. A proper baby bump was below her, rounded with warm white cub~ the sharks gut churning and bubbling down. “Oh I *UUURB* bet~ its why your mind now. Until the baby’s born you’ll be staying with me.” She Replied.
# Data records that have nothing to do with the text
- - -
(1)
{"formula": "C6H37NO13", "method": "wB97M-V/def2-TZVPD", "species": ["C", "C", "C", "C", "N", "C", "C", "O", "H", "H", "H", "H", "H", "H", "H", "H", "H", "H", "H", "H", "H", "H", "H", "O", "H", "H", "O", "H", "H", "O", "H", "H", "O", "H", "H", "O", "H", "H", "O", "H", "H", "O", "H", "H", "O", "H", "H", "O", "H", "H", "O", "H", "H", "O", "H", "H", "O"], "coordinates": [[-0.608, 2.895, 0.745], [-1.549, 3.548, 1.699], [-2.988, 3.598, 0.992], [-0.092, 1.558, 1.239], [0.038, 0.462, 0.370], [0.504, -0.868, 1.117], [0.750, 0.541, -0.945], [0.000, 1.344, 2.358], [-1.050, 2.568, -0.293], [0.218, 3.619, 0.586], [-1.611, 3.215, 2.666], [-0.985, 4.568, 2.000], [-3.632, 2.719, 1.226], [-3.419, 4.455, 1.603], [-2.958, 3.891, -0.119], [1.532, -0.709, 1.163], [-0.047, -0.727, 2.051], [-0.073, -1.725, 0.632], [0.066, 0.836, -1.752], [1.606, 1.300, -0.901], [1.046, -0.475, -1.239], [5.042, 2.450, -0.198], [3.385, 1.980, -0.370], [4.067, 2.663, -0.433], [3.629, 2.759, -3.805], [2.914, 1.635, -2.716], [3.266, 1.790, -3.656], [3.384, -4.253, -0.864], [2.844, -3.887, -2.406], [2.936, -4.641, -1.678], [2.539, 0.862, -5.422], [1.354, 0.350, -4.666], [1.579, 0.694, -5.466], [-3.442, -0.436, 0.685], [-2.440, -0.714, 1.727], [-3.375, -0.841, 1.527], [-3.433, 0.909, 4.040], [-2.148, 1.663, 4.059], [-2.555, 0.935, 4.511], [-2.504, -2.539, -2.828], [-2.850, -3.554, -3.805], [-3.105, -2.724, -3.663], [-1.322, -2.425, -0.335], [-0.811, -3.335, -1.533], [-1.313, -2.586, -1.297], [3.404, -0.347, 1.044], [4.374, -0.858, 2.134], [3.535, -0.586, 2.037], [-2.133, -2.560, 2.256], [-0.766, -3.463, 2.414], [-1.454, -3.112, 1.779], [-1.346, -0.662, 4.527], [0.030, -0.978, 4.020], [-0.851, -1.255, 3.877], [0.181, -1.922, -3.767], [-0.605, -0.606, -3.754], [0.226, -0.993, -3.611]], "lumo_energy_ev": -0.32, "total_energy_ev": -34925.7277, "total_charge": 0, "gap_ev": 9.141, "homo_energy_ev": -9.5, "fmax_ev_per_a": 7.78, "molar_mass_g_mol": 331.36}

(2)
- - -
08:50:14 Xandra_Silkscale: She’d angle the cock to her face, waiting for her to do what she agreed~
08:50:40 Velvet_Sky: The idea of being a mother filled Velvet's heart with hope and joy. She eagerly use her hands to open the way as she squirmed inside of the large shark cock to be kept safely, atleast until the baby was delivered.
08:52:01 Xandra_Silkscale: She’d hear deep seeded Myers but restricted moans.5)3 scent and musk deep in here, smelling so widnerfully she might have wanted to melt when there was cum in here. “Mmh.there we are. There we are.” She said, feeling her tits, the only feature worth while on velvet, sunk into her balls
08:54:12 Velvet_Sky: Velvet positioned herself to be dropped deep into the sack, curling up inside of it and overwhelmed b y the scent slowly began to pass out for now.
08:56:12 Soomi: Ok i'll try to remember